Andru McCracken, Editor

By Andru McCracken, EDITOR

Everybody is working for some ‘body’ and these days every ‘body’ has their tongue tied… . It all started with the provincial government in 2001, despite the fact they had knowledgeable and competent staff scattered across the entire province, suddenly all communication came from Victoria.

And thus began a new age of disinformation.

Data records, as found in the file =
~~~
Record 1
A cluster of 2 separate species, C11H12N2O in total. Source: the OMol25 dataset; level of theory: ωB97M-V/def2-TZVPD.

XYZ file:
```
26
Properties=species:S:1:pos:R:3
C 0.762 0.033 1.219
C 1.862 0.854 1.333
N 2.869 1.460 1.425
N -0.500 0.561 1.339
C -1.587 -0.290 1.408
C -2.869 0.213 1.433
C -3.091 1.593 1.417
C -1.984 2.440 1.401
C -0.698 1.930 1.377
H 0.873 -1.051 1.289
H -1.336 -1.349 1.456
H -3.690 -0.499 1.469
H -4.100 1.997 1.426
H -2.081 3.522 1.409
H 0.190 2.560 1.372
C 1.591 -2.210 -2.056
C 2.456 -0.993 -1.695
C 1.171 -0.149 -1.694
O 0.924 1.019 -1.547
C 0.308 -1.369 -2.034
H 1.815 -2.608 -3.049
H 1.609 -2.998 -1.299
H 2.923 -1.039 -0.707
H 3.186 -0.716 -2.465
H -0.211 -1.295 -2.998
H -0.391 -1.616 -1.230
```

Values from the calculation:
total charge	0
energy	-16626.3700	eV
frontier orbital gap	7.1	eV
ΔE to the lowest compared entry with this formula, charge and spin	355.66	kJ/mol
highest occupied orbital energy	-0.26288	Eh



Record 2
A structure of composition C5H4O2. Source: the OMol25 dataset; level of theory: ωB97M-V/def2-TZVPD.

XYZ file:
```
11
Properties=species:S:1:pos:R:3
C -0.775 0.763 0.179
C -0.378 -1.197 0.183
C -1.999 0.988 -0.089
C 1.004 -0.739 -0.094
C 0.748 0.781 0.138
O -3.154 0.998 -0.095
O -1.184 -2.085 0.196
H 1.859 -1.207 0.523
H 1.198 -0.812 -1.204
H 1.332 1.314 -0.734
H 1.347 1.195 0.997
```

Values from the calculation:
total charge	0
energy	-9340.9776	eV
frontier orbital gap	8.6	eV
ΔE to the lowest compared entry with this formula, charge and spin	309.19	kJ/mol
highest occupied orbital energy	-0.31919	Eh



Record 3
A cluster of 2 separate species, C32H68B2N4O7 in total. Source: the OMol25 dataset; level of theory: ωB97M-V/def2-TZVPD.

XYZ file:
```
113
Properties=species:S:1:pos:R:3
C 6.190 0.562 4.356
C 4.852 0.568 5.100
C 4.076 -0.773 5.113
C 4.935 -2.032 5.310
C 4.986 -2.991 4.090
C 5.307 -2.347 2.716
C 4.602 -3.156 1.569
C 5.611 -4.079 0.848
C 5.762 -3.922 -0.688
C 6.841 -2.892 -1.129
C 6.307 -1.774 -2.073
C 5.467 -0.679 -1.343
C 6.213 0.685 -1.477
C 5.227 1.873 -1.271
C 5.760 2.963 -0.304
C 4.550 3.621 0.421
C 3.610 4.232 -0.679
C 2.311 3.476 -1.025
C 1.377 3.265 0.177
C 0.317 2.180 -0.088
N 0.788 0.861 0.371
C -0.011 -0.133 0.448
N 0.416 -1.350 0.915
C -0.379 -2.515 0.457
O -1.684 -2.222 0.063
C -1.717 -1.094 -0.767
O -3.043 -0.960 -1.185
B -3.412 0.373 -1.486
O -3.139 1.006 -2.676
O -4.150 1.074 -0.566
B -0.846 -1.216 -2.123
O -0.018 -0.222 -2.592
O -0.991 -2.370 -2.867
N -1.366 0.074 0.073
H 6.877 -0.218 4.677
H 6.691 1.508 4.580
H 6.085 0.543 3.271
H 4.937 0.938 6.120
H 4.215 1.291 4.581
H 3.496 -0.930 4.201
H 3.328 -0.695 5.907
H 4.465 -2.608 6.112
H 5.942 -1.815 5.658
H 4.057 -3.568 4.058
H 5.785 -3.706 4.299
H 6.372 -2.456 2.519
H 5.028 -1.298 2.640
H 3.830 -3.813 1.976
H 4.070 -2.500 0.875
H 6.614 -3.968 1.263
H 5.281 -5.108 1.002
H 4.814 -3.741 -1.202
H 6.117 -4.892 -1.045
H 7.598 -3.424 -1.709
H 7.362 -2.463 -0.270
H 7.167 -1.280 -2.520
H 5.700 -2.255 -2.839
H 4.458 -0.605 -1.766
~~~

It’s complex describing how bad it gets”¦ but rest assured, it gets bad.

If I want to learn about what’s happening in the provincial park next door, I call Victoria. The school down the street? It’s a call to a guy who’s been here a handful of times who lives in Prince George.

If I need to talk to a doctor for a story, it’s the same, but worse.

Everyone is covering their asses, and it offers no protection for their heads.

Since 2001, the infection has spread to almost every agency big and small, government, corporate, and even nonprofits play the game. No one with knowledge about a subject is allowed to talk for fear of the repercussions in the media, therefore everything is translated through a communications official. Good people, but rarely experts in the field I’m interested in, and rarely connected to what is happening on the ground. Often the first task for media relations is determining:

Oh, is that in my Ministry?

It’s a limitation that potentially reduces gaffs, but also tears at accountability and good governance in any institution.

But there is a fix: Whistle blowing.

If you see something patently unsafe at work consider blowing the whistle. Document what you see to the best of your ability and share it anonymously.

How about something unfair? Something obviously unjust? Or something just plain old stupid?

If you see something that works for the company, but does a grand disservice to society”¦ consider blowing the whistle.

On a plus side:
This week I had a strange sensation. I asked an organization for information about Valemount, in particular. And, within the day, they gave said information to me. When I followed up, they provided even more information allowing me to check their work.

It was like a portal opened and I time travelled back to the Halcyon days when agencies were just learning to reprimand managers who still spoke openly and on the record on the topics they were expert in. (One imagines they felt so compelled because of a sense of ownership of their work and a profound feeling of duty to the public.)

More than ever our communities are full of people working for massive organizations with draconian media rules in place. Whether you are a pipeline worker, a protestor, a temporary foreign worker, a professional, a teacher, a nurse or just a resident who doesn’t feel safe speaking out, consider blowing the whistle on bad practices. We will never disclose your name to the authorities and do our best to ensure you aren’t found out.

Never use social media to blow the whistle.

In the coming weeks the Rocky Mountain Goat will provide an online portal and provide guidance on how to blow the whistle anonymously.